Are you improving the value you deliver to your customers or not?
That is the question I ask myself, my teams, the meetings I attend, and the events I host. In the end, it is what we give that makes the difference. How this lens applies to life is simple – it applies to everything 100%
Give value to everyone without expectation
I don’t believe we should offer our time, expertise, products, and life with the expectation for something in return. I believe we should live in that process of creating these experiences, sharing these moments, and delivering delightful customer experiences.
To that end – I have been challenged with a recent project. The task of creating value, trust, and disproportional advantage across the full product stack. Specifically how are we optimized in our supply chain (software, open source, ODM, OEM, licensed, etc..) to maximize these points of performance and how are these benefits delivered to the customer.
Materials data that have nothing to do with the text:
'''
Record 1
# KB2SbO6 | the Materials Project | PBE | relaxed
data_KB2SbO6
_chemical_formula_sum 'K4 B8 Sb4 O24'
_cell_length_a 11.7875
_cell_length_b 7.1494
_cell_length_c 7.5114
_cell_angle_alpha 90.00
_cell_angle_beta 125.25
_cell_angle_gamma 90.00
_symmetry_space_group_name_H-M 'C 1 c 1'
_symmetry_Int_Tables_number 9
_symmetry_space_group_name_Hall 'C -2yc'
loop_
_atom_site_label
_atom_site_type_symbol
_atom_site_fract_x
_atom_site_fract_y
_atom_site_fract_z
K1 K 0.0000 0.0176 0.0000
B1 B 0.1755 0.2878 0.9120
B2 B 0.2115 0.3697 0.5046
Sb1 Sb 0.4108 0.0152 0.6736
O1 O 0.0381 0.2978 0.7363
O2 O 0.0780 0.3139 0.3541
O3 O 0.2273 0.1106 0.9672
O4 O 0.2560 0.4432 0.0293
O5 O 0.3127 0.2500 0.6533
O6 O 0.4109 0.0879 0.4193
# **Uncorrected energy**: -6.8817 eV per atom
# **Energy of formation**: -2.465 eV per atom



Record 2
# Lu2MgS4 | the Materials Project | PBE | relaxed
data_Lu2MgS4
_chemical_formula_sum 'Lu8 Mg4 S16'
_cell_length_a 7.8450
_cell_length_b 7.2858
_cell_length_c 11.1956
_cell_angle_alpha 90.00
_cell_angle_beta 90.00
_cell_angle_gamma 90.00
_symmetry_space_group_name_H-M 'P n m a'
_symmetry_Int_Tables_number 62
_symmetry_space_group_name_Hall '-P 2ac 2n'
loop_
_atom_site_label
_atom_site_type_symbol
_atom_site_fract_x
_atom_site_fract_y
_atom_site_fract_z
Lu1 Lu 0.0377 0.2500 0.1940
Lu2 Lu 0.0668 0.7500 0.4841
Mg1 Mg 0.1774 0.7500 0.0971
S1 S 0.1104 0.2500 0.9613
S2 S 0.1182 0.0055 0.6577
S3 S 0.2256 0.2500 0.3888
# **Uncorrected energy**: -5.5003 eV per atom
# **Offset from the most stable computed form**: 279 meV per atom
# **Energy of formation**: -1.904 eV per atom



Record 3
# SrCaEuSbO6 | the Materials Project | PBE | relaxed
data_SrCaEuSbO6
_chemical_formula_sum 'Sr4 Ca4 Eu4 Sb4 O24'
_cell_length_a 8.3350
_cell_length_b 8.3350
_cell_length_c 8.3350
_cell_angle_alpha 90.00
_cell_angle_beta 90.00
_cell_angle_gamma 90.00
_symmetry_space_group_name_H-M 'F -4 3 m'
_symmetry_Int_Tables_number 216
_symmetry_space_group_name_Hall 'F -4 2 3'
loop_
_atom_site_label
_atom_site_type_symbol
_atom_site_fract_x
_atom_site_fract_y
_atom_site_fract_z
Sr1 Sr 0.0000 0.0000 0.0000
Ca1 Ca 0.2500 0.2500 0.2500
Eu1 Eu 0.0000 0.0000 0.5000
Sb1 Sb 0.2500 0.2500 0.7500
O1 O 0.0145 0.2500 0.7500
# **Uncorrected energy**: -7.0958 eV per atom
# **Offset from the most stable computed form**: 95 meV per atom
# **Energy of formation**: -2.731 eV per atom



Record 4
# GaBr2 | the Materials Project | PBE | relaxed
data_GaBr2
_chemical_formula_sum 'Ga8 Br16'
_cell_length_a 7.8577
_cell_length_b 10.5096
_cell_length_c 10.7372
_cell_angle_alpha 90.00
_cell_angle_beta 90.00
_cell_angle_gamma 90.00
_symmetry_space_group_name_H-M 'P n n a'
_symmetry_Int_Tables_number 52
_symmetry_space_group_name_Hall '-P 2a 2bc'
loop_
_atom_site_label
_atom_site_type_symbol
_atom_site_fract_x
_atom_site_fract_y
_atom_site_fract_z
Ga1 Ga 0.0984 0.2500 0.2500
Ga2 Ga 0.2500 0.0000 0.6867
Br1 Br 0.0056 0.0344 0.8108
Br2 Br 0.1797 0.6803 0.9366
'''
This is an ongoing effort, but the framework and principles created I thought were insightful and helpful to others.
Commercial Value
Any improvements to our supply chain must benefit our customers, period, full stop. The scope and scale of customers that benefit is relative to every enterprise, but could include raising up underperforming segments; focused on market size; revenue; margin, and or ideally – where we are going!
Responsive to Events
The business world is constantly in flux. Markets shift, new products enter the field, borders move, security events occur, mergers occur, and so on. The bottom line, you need to build in a self improvement and reflection process. This should fit the speed and culture of your organization.
Control for controls sake. Legal for legals sake. The lack of respect and meaningful checks that occur in the marketplace is disappointing. This centers on a flywheel that has continually captured more and more security / quality checks without a pure tie in to the originating risk that created it, or the value it delivers to the end customer. There is also a naïveté that the controls designed guarantee the result expected – at some point variability emerges and we must be responsive.
An example is the implication that some computer chips from a certain vendor were infected with a malicious backdoor. The check that was found to detect it was through a heat detection within a specific range. Now, the odds of having that check in place for the chips in question (all to be safe) and to have THAT particular check within the detection range are very far removed.
The immensity of the controls that must also exist in that environment are without question immense and lead us into the next framework that demands care and consideration.
Terms and conditions
Your vendors and third party suppliers are your PARTNERS. The ambition is for you both to be successful, grow, give value, make a difference, and chase shared passions in the space you reside in at the moment. Building good contracts is an art, but these too demand care and attention. Not just that they are clear on terms but clear on intent. Caution must be made around seeking to encapsulate every event and scenario. Instead, establishing these partners to match, scale, and benefit from your processes is a superior path. While not possible for all due to your scale of purchase or the other business model, this is the right path. Contracts should set the standard but allow for response, adjustments to products, coordination of efforts, inspection, and continual enhancements around the operational programs.
Do more with less
You can be quite successful as partners and in the market by focusing on less. By being superior in specific spaces that distinguish and enhance your touch on the customer. This also leads to businesses reducing their supplier list and creation of software component libraries. Each excellent, but as those bonds of partnership increase, so must your intensity and care with each other be maintained. The best T&C with a vendor will do no good if you over extended their costs and they go out of business at your busiest season … and the business that has all the controls and obligations in place that your heart can imagine, will likely also be the one that prices you out of the market.
Balance, relevant, and value driven decisions are the winning combinations.
This relates to launching any new product or enterprise. It is written with an eye towards superior value created from your supply chain strategy and operational elements. Welcome thoughts and ideas.